I. simple epithelium
II. compound epithelium
III. Specialized Epithelium
**Between two parts of the text: records of crystals**
____________
Compound: Cs2CrH2Cl5O
Source: Alexandria via LeMat-Bulk
Functional: PBE+U
Structure: relaxed

a = 7.499 Å, b = 8.163 Å, c = 9.758 Å
α = 90.00°, β = 112.60°, γ = 90.00°
Each line ends with the local moment (μB).
Element x y z (fractional)
Cl (0.831, 0.540, 0.218)  -0.04
Cr (0.387, 0.250, 0.774)  3.07
Cs (0.750, 0.250, 0.500)  0.00
H (0.536, 0.152, 0.072)  0.00
Cl (0.831, 0.960, 0.218)  -0.04
Cl (0.613, 0.460, 0.782)  -0.04
Cl (0.169, 0.460, 0.782)  -0.04
H (0.536, 0.348, 0.072)  0.00
Cl (0.387, 0.960, 0.218)  -0.04
Cl (0.613, 0.040, 0.782)  -0.04
Cl (0.387, 0.540, 0.218)  -0.04
Cr (0.613, 0.750, 0.226)  3.07
H (0.464, 0.848, 0.928)  0.00
Cs (0.973, 0.750, 0.945)  0.00
Cl (0.169, 0.040, 0.782)  -0.04
H (0.464, 0.652, 0.928)  0.00
Cl (0.257, 0.250, 0.514)  -0.07
O (0.496, 0.750, 0.991)  -0.01
Cs (0.250, 0.750, 0.500)  0.00
O (0.504, 0.250, 0.009)  -0.01
Cl (0.743, 0.750, 0.486)  -0.07
Cs (0.027, 0.250, 0.055)  0.00

## Properties
crystal system	orthorhombic
E	-4.20	eV/atom
DOS(E_F)	0.0	states/eV/cell

----------

GGA-PBE KSiMo4, relaxed; uncorrected formation energy = 6.35 eV per formula unit; electronic total energy = -43.50 eV per cell; space-group type = F-43m; ρ = 6.8 g/cm³
1.0
0.000 3.803 3.803
3.803 0.000 3.803
3.803 3.803 0.000
K Si Mo
1 1 4
Cartesian
0.000 0.000 0.000 K
1.902 1.902 1.902 Si
4.760 2.847 2.847 Mo
2.847 4.760 2.847 Mo
2.847 2.847 4.760 Mo
4.760 4.760 4.760 Mo

----------

# Y3MgN GGA-PBE relaxed
# - Magnetization: 0.06 μB/atom
# - Polymorph energy (0 for the lowest one): 259 meV per atom
# - DOS at the Fermi energy: 4.20 states/eV/f.u.
# - Formation energy (no corrections): -0.464 eV/atom
data_Y3MgN
_chemical_formula_sum 'Y12 Mg4 N4'
_symmetry_space_group_name_H-M 'C 1 2/m 1'
_symmetry_Int_Tables_number 12
_symmetry_space_group_name_Hall '-C 2y'
_cell_length_a 16.3506
_cell_length_b 3.6848
_cell_length_c 8.7334
_cell_angle_alpha 90.00
_cell_angle_beta 91.49
_cell_angle_gamma 90.00
loop_
_atom_site_label
_atom_site_fract_x
_atom_site_fract_y
_atom_site_fract_z
Y1 0.0265 0.0000 0.1941
Y2 0.1647 0.5000 0.9606
Y3 0.2069 0.0000 0.3498
Mg1 0.0871 0.5000 0.5631
N1 0.1926 0.0000 0.1025



# Ni2OsAu GGA-PBE relaxed
# - Magnetization: 0.41 μB/atom
# - Polymorph energy (0 for the lowest one): 277 meV per atom
# - Calculated formation energy: 410 meV/atom
# - DOS at the Fermi energy: 5.77 states/eV/f.u.
data_Ni2OsAu
_chemical_formula_sum 'Ni4 Os2 Au2'
_symmetry_space_group_name_H-M 'I -4 m 2'
_symmetry_Int_Tables_number 119
_symmetry_space_group_name_Hall 'I -4 -2'
_cell_length_a 3.7258
_cell_length_b 3.7258
_cell_length_c 7.8136
_cell_angle_alpha 90.00
_cell_angle_beta 90.00
_cell_angle_gamma 90.00
loop_
_atom_site_label
_atom_site_fract_x
_atom_site_fract_y
_atom_site_fract_z
Ni1 0.0000 0.0000 0.0000
Ni2 0.0000 0.5000 0.2500
Os1 0.0000 0.5000 0.7500
Au1 0.0000 0.0000 0.5000



# PaSiPd6 GGA-PBE relaxed
# - Magnetization: 0.00 μB/atom
# - DOS at the Fermi energy: 4.38 states/eV/f.u.
# - Formation energy (no corrections): -0.397 eV/atom
____________
**The text goes on**
I. Simple epithelium tissue
- Simple squamous epithelium
- Simple cuboidal epithelium
- Simple columnar epithelium
- Pseudo-stratified epithelium

1. Simple squamous epithelium
- consist of a single layer of flattened cells
- Margin of squamous cells are irregular
- Occur as tiles on a floor, also known as pavement epithelium
- Comprises lining of body cavity, cardiovascular and lymphatic systems,
- surface of coelom, buccal cavity, nasal cavity, alveolar lining of lungs lung and bowman’s capsule of kidneys (gas and liquid exchange)
- Function = protection, absorption, diffusion and filtration
2. Simple cuboidal epithelium
- -consists of a single layer of cells that are roughly square in shape when cut in cross-section. Each cell has a spherical nucleus in the centre
- forms lining many ducts and tubules of the body.
- Functions of secretion and absorption e.g. kidney
- Cuboidal epithelium is commonly found in secretive or absorptive tissue: for example;
- (secretive); exocrine gland the pancreas.
- (absorptive); lining of the kidney tubules.
- in the ducts of the glands.
- germinal epithelium; lining of ovary and testis.
3. Simple columnar epithelium
- Cells are elongated and column-shaped. Their nuclei are elongated and are usually located near the base of the cells.
- Columnar epithelium is found in the following:
- The lining of the stomach and intestines.
- Some columnar cells are specialized for sensory reception such as in the nose, ears and the taste buds of the tongue.
- Also have surface modifications such as cilia and microvilli and
- Goblet cells (unicellular glands) are found between the columnar epithelial cells of the duodenum.
- Function: secretion and absorption.
4. Pseudo-stratified epithelium:
- These are simple columnar epithelial cells whose nuclei appear at different heights, giving the misleading (hence “pseudo“) impression that the epithelium is stratified when the cells are viewed in cross section.
'''
1.
Here is an optimized crystal structure of Dy3HoCu2 from Alexandria via LeMat-Bulk. Energies are from PBE.

Lattice parameters (Å, degrees): 4.9018 6.8552 8.7011 90.00 90.00 90.00
Element x y z (fractional)
Dy: 0.0000 0.4864 0.9245
Dy: 0.0000 0.9864 0.0755
Dy: 0.5000 0.6442 0.1653
Dy: 0.5000 0.1442 0.8347
Dy: 0.0000 0.3556 0.3354
Dy: 0.0000 0.8556 0.6646
Ho: 0.5000 0.5139 0.5750
Ho: 0.5000 0.0139 0.4250
Cu: 0.5000 0.7387 0.8481
Cu: 0.5000 0.2387 0.1519
Cu: 0.0000 0.2611 0.6509
Cu: 0.0000 0.7611 0.3491

Results
Magnetic moment in μB/f.u.: 0.000
ΔE to the lowest computed polymorph in eV/f.u.: 0.00
Energy of formation from the pure elements in eV per atom: -0.166
Mass density in g/cm3: 8.85
SG: Pmc2_1 (26)

***

2.
Here is an optimized crystal structure of PaAgAu2 from Alexandria via LeMat-Bulk. Energies are from PBE.

Lattice parameters (Å, degrees): 3.1280 3.1280 9.8069 80.82 80.82 60.00
Element x y z (fractional)
Pa: 0.0000 0.0000 0.0000
Au: 0.7539 0.7539 0.7382
Au: 0.2461 0.2461 0.2618
Ag: 0.5000 0.5000 0.5000

Results
Magnetic moment in μB/f.u.: 0.000
ΔE to the lowest computed polymorph in eV/f.u.: 0.68
Energy of formation from the pure elements in eV per atom: -0.112
Mass density in g/cm3: 14.90
SG: R-3m (166)

***

3.
Here is an optimized crystal structure of La2HfMn from Alexandria via LeMat-Bulk. Energies are from PBE.

Lattice parameters (Å, degrees): 5.3711 5.3711 5.3711 60.00 60.00 60.00
Last column: magnetic moment on the atom in μB.
Element x y z (fractional)
Mn: 0.0000 0.0000 0.0000  3.85
Hf: 0.5000 0.5000 0.5000  -0.46
La: 0.2500 0.2500 0.2500  -0.13
La: 0.7500 0.7500 0.7500  -0.13

Results
Magnetic moment in μB/f.u.: 3.042
ΔE to the lowest computed polymorph in eV/f.u.: 0.00
Energy of formation from the pure elements in eV per atom: 0.406
Mass density in g/cm3: 7.75
SG: Fm-3m (225)

***

4.
Here is an optimized crystal structure of Nd2CuPdO6 from Alexandria via LeMat-Bulk. Energies are from PBE.

Lattice parameters (Å, degrees): 5.4962 5.8721 7.7008 90.00 90.18 90.00
Last column: magnetic moment on the atom in μB.
Element x y z (fractional)
Nd: 0.0194 0.9273 0.2503  0.00
Nd: 0.5194 0.5727 0.7503  0.00
Nd: 0.9806 0.0727 0.7497  0.00
Nd: 0.4806 0.4273 0.2497  0.00
Cu: 0.5000 0.0000 0.0000  0.55
Cu: 0.0000 0.5000 0.5000  0.55
Pd: 0.5000 0.0000 0.5000  0.01
Pd: 0.0000 0.5000 0.0000  0.01
O: 0.3043 0.6967 0.0506  0.05
O: 0.8043 0.8033 0.5506  0.05
O: 0.6957 0.3033 0.9494  0.05
O: 0.1957 0.1967 0.4494  0.05
O: 0.3073 0.7011 0.4500  0.07
O: 0.8073 0.7989 0.9500  0.07
O: 0.6927 0.2989 0.5500  0.07
O: 0.1927 0.2011 0.0500  0.07
O: 0.8974 0.5324 0.2547  0.09
O: 0.3974 0.9676 0.7547  0.09
O: 0.1026 0.4676 0.7453  0.09
O: 0.6026 0.0324 0.2453  0.09

Results
Magnetic moment in μB/f.u.: 1.039
Uncorrected formation energy in eV per atom: -1.94
Mass density in g/cm3: 7.41
SG: P2_1/c (14)

***

5.
Here is an optimized crystal structure of CaCuSn2Pt4 from Alexandria via LeMat-Bulk. Energies are from PBE.
'''
Here the entry continues:
- Found in lining of respiratory tract, urinary tract, vas deferentia, epididymis
- Pseudo-stratified epithelium also possess fine hair-like extensions of their apical (luminal) membrane called cilia. In this case, the epithelium is described as “ciliated” pseudostratified epithelium.
- Ciliated epithelium is found in the:
- Airways (nose, trachea and bronchi).
- Uterus and Fallopian tubes of females.
II. Compound or Stratified epithelium:
- Stratified squamous epithelium
- Stratified cuboidal epithelium
- Stratified columnar epithelium
- Transitional epithelium
1. Stratified squamous epithelium
- Stratified squamous epithelium consists of multiple layers, with squamous cells at the apical surface.
- The primary function of this type of epithelium is protection.
- Aeas subject to abrasion, like mouth, esophagus and skin, have stratified epithelium.
- Stratified Squamous epithelium are of 2 types
- i. Keratinized stratified epithelium
- ii. Non-keratinized stratified epithelium

i. Keratinized Stratified epithelium:
- The Epidermis (most superficial layer) of the skin is composed of stratified squamous epithelial cells that contain large quantities of the protein
- Keratin is a tough fibrous protein that offers protection from abrasion and water loss.
- New cells are produced at the basal membrane of the epithelium and are gradually pushed towards the apical surface. As they move upwards, they become filled with keratin and eventually die, forming a layer of dead, keratin filled cells on the apical surface of the epidermis.
- The dermis, which lies deep to the epidermis, is composed of connective tissue.
- Functions- Impervious to water, resistant to mechanical damage.
ii. Non-keratinized stratified epithelium:
- These are Layers of living squamous epithelium formed by cuboidal cells
- Found in moist surface like, buccal cavity, oesophagus, vagina
- Functions– protection from mechanical damage
2. Stratified cuboidal epithelium:
- Stratified cuboidal epithelium consists of multiple layer of cell where the outermost layer of cells is cuboidal in shape.
- Found in conjunctiva of eyes, lining of ducts of sweat glands, salivary gland, mammary glands and urethra.
- Function– Protection against mechanical and chemical stress
3. Stratified Columnar epithelium:
- Stratified columnar epithelium consists of multiple layers of cells where the outermost layer of cells are columnar in shape, Middle layer is cuboidal.
- It forms lining of vasa-differentia, respiratory tract and mammary gland.
- Function– secretion of fluids and protection from mechanical and chemical stress.
4. Transitional epithelium:
- Transitional epithelium consists of layers of cells which are similar in size and may be flattened at the top and have the capability to modify the shape.
- Cells are living, large and stretch to change its thickness.
- Found in areas that are subjected to stress condition such as- urinary bladder, ureter, renal pelvis.
- Function-expansion of the organ, prevent loss of water form blood and prevent escape of urine to surrounding tissue.
III. Specialised Epithelium
- Glandular epithelium
- Germinal epithelium
- Sensory epithelium
- Ciliated epithelium

1. Glandular epithelium:
- Glands are composed of cuboidal and columnar epithelium and are specialized for secretion. They secrete enzymes, hormones, mucus etc.
- Based on the no. of cells, glands are of two types;
- Unicellular gland- individual cell is modified into glandular cell, eg. Goblet cell
- Multi cellular gland- Number of glandular cells are aggregated to form multicellular gland
2. Germinal epithelium:
- These are cuboidal or columnar epithelium layer found in the gonads. Eg, ovary and seminiferous tubules
3. Sensory epithelium:
- These are modified columnar epithelium having sensory hair (cilia) at the free surface lies between columnar epithelium.
- They perceive the stimulus,. Found in nasal cavity and tongue
4. Ciliated epithelium:
- These are elongated columnar epithelium having numerous cilia at the free end.
- Found in Ureter, respiratory passage, spinal cord, oviduct etc.